Wanted
Now filter the entries underneath: keep the lines with the word "HOMO".
Source
********
(1)
Density functional theory data (wB97M-V/def2-TZVPD) for a structure of composition C47H46N7O3PRbS4.

Geometry as XYZ:
```
109
Properties=species:S:1:pos:R:3:mulliken_charge:R:1
Rb -0.29265 -0.48163 0.41329 0.908
N -1.11916 2.57022 -0.12524 0.368
C -1.15902 3.67722 0.68891 0.101
C -2.16673 4.63498 0.51320 -0.902
C -2.21968 5.75693 1.31502 -0.457
C -1.26880 5.96778 2.30834 -0.940
C -0.27452 5.02112 2.49485 -0.154
C -0.20878 3.86863 1.71631 0.164
P 0.99592 2.51817 1.93617 1.009
C 1.94709 3.02478 3.41085 0.243
C 1.27833 3.07499 4.63650 -0.251
C 1.95855 3.37532 5.80418 -0.738
C 3.32872 3.60454 5.77268 -0.563
C 4.00578 3.53652 4.56525 -0.649
C 3.31945 3.25351 3.39052 -0.459
C 2.15185 2.81436 0.54607 -0.104
C 2.91938 1.72513 0.13228 0.060
C 3.77430 1.82888 -0.95510 -0.279
C 3.86060 3.02693 -1.64949 -0.656
C 3.09562 4.11525 -1.24995 -0.705
C 2.24532 4.01199 -0.15864 -0.547
H -0.22102 2.12573 -0.21660 -0.274
H -1.58761 2.62901 -1.02697 0.253
H -2.90304 4.47510 -0.26511 0.482
H -3.01034 6.48137 1.15975 0.362
H -1.30258 6.85391 2.92847 0.420
H 0.46846 5.18023 3.26671 0.404
H 0.21155 2.88273 4.67356 0.465
H 1.42010 3.42200 6.74260 0.408
H 3.86342 3.83397 6.68590 0.374
H 5.07439 3.71040 4.53135 0.401
H 3.85961 3.20693 2.45285 0.414
H 2.82623 0.77991 0.65403 0.051
H 4.34776 0.96711 -1.27447 0.507
H 4.50976 3.10756 -2.51226 0.385
H 3.14995 5.04590 -1.80112 0.390
H 1.63547 4.85699 0.13853 0.455
O -1.59533 -2.38121 1.67370 -0.828
C -2.56180 -1.79434 1.11473 0.210
O -2.76096 -0.55841 1.14265 -0.789
C -3.50889 -2.65883 0.30467 0.342
C -4.51077 -3.33869 0.98504 -0.377
C -5.41581 -4.15723 0.32380 -0.584
C -5.30102 -4.30094 -1.05217 -0.531
C -4.29668 -3.63660 -1.73697 -0.828
C -3.37385 -2.80292 -1.09243 0.146
S -2.12107 -2.00237 -2.05590 -0.202
H -4.57564 -3.21828 2.06120 0.426
H -6.19402 -4.67400 0.87327 0.343
H -5.99346 -4.93470 -1.59613 0.348
H -4.20427 -3.75439 -2.81059 0.370
C 2.79897 -2.74572 -1.81634 0.033
C 3.45249 -2.37804 -0.53252 0.185
N 2.83191 -1.75713 0.41343 0.190
C 3.63452 -1.58532 1.52079 -0.201
C 4.90687 -2.04574 1.38166 -0.770
S 5.09925 -2.75289 -0.16822 -0.295
C 3.01592 -1.04057 2.73578 0.166
C 3.61252 -0.79697 3.93620 -0.529
S 2.42238 -0.35024 5.08006 -0.247
C 1.19609 -0.51058 3.87471 0.461
N 1.66102 -0.84597 2.71196 0.182
C -0.25616 -0.28991 4.13136 -0.815
H 3.01037 -1.99130 -2.57360 -0.207
H 1.72089 -2.77480 -1.65760 -0.008
H 3.12983 -3.72035 -2.17228 0.251
H 5.70326 -2.04016 2.10679 0.447
H 4.65391 -0.87724 4.20016 0.457
H -0.49905 -0.39687 5.18803 0.469
H -0.83248 -1.00652 3.53663 0.140
H -0.54918 0.71077 3.80280 0.094
N -1.23139 1.10641 -4.78003 0.157
C -0.86670 2.36201 -5.19717 -0.210
C -1.09844 3.17208 -4.12651 -0.857
N -1.58974 2.43789 -3.07285 -0.341
C -1.64523 1.19439 -3.49644 -0.343
H -1.15413 0.24834 -5.29630 0.026
H -0.48871 2.55649 -6.18505 0.409
H -0.94017 4.23537 -4.05020 0.413
H -1.98570 0.33537 -2.92717 0.404
C -2.24576 -3.24360 -6.39861 -1.740
C -1.36753 -2.37820 -5.50632 0.570
C -0.08885 -3.10400 -5.10496 -0.713
N 0.80925 -2.23744 -4.34803 0.792
C 1.57491 -1.24079 -4.83231 -0.639
S 1.84152 0.13595 -3.95237 -0.051
N 2.04258 -1.34843 -6.14025 0.221
C 2.39186 -2.41792 -6.96021 0.360
O 2.38069 -2.26112 -8.16241 -0.642
C 2.86778 -3.69623 -6.35363 0.002
C 3.51352 -3.73720 -5.12600 0.108
C 3.99762 -4.94397 -4.64168 -0.763
C 3.82913 -6.10562 -5.37987 -0.464
C 3.19755 -6.06203 -6.61689 -0.595
C 2.72770 -4.85719 -7.10917 -0.450
H -3.18343 -2.74149 -6.63532 0.428
H -2.49141 -4.18547 -5.90437 0.344
H -1.74219 -3.47804 -7.33976 0.413
H -1.91015 -2.09434 -4.59817 0.072
H -1.09148 -1.45718 -6.03402 0.149
H 0.41218 -3.51088 -5.98187 0.156
H -0.32520 -3.94905 -4.45688 0.440
H 0.48004 -2.03747 -3.40827 -0.203
H 2.19266 -0.45196 -6.57955 0.231
H 3.66766 -2.82817 -4.56180 0.617
H 4.50876 -4.97616 -3.68801 0.476
H 4.19825 -7.04722 -4.99382 0.398
H 3.07826 -6.96694 -7.19815 0.389
H 2.24647 -4.79523 -8.07590 0.450
```

HOMO   -0.134 hartree
ΔE to the lowest compared entry with this formula, charge and spin   15.0 kcal/mol
********
Outcome
HOMO   -0.134 hartree